== Assignment ==
Your job: give back only the last part of the rows further down, starting with the line that has "0.590 0.012".

== Contents ==
The following is a DFT calculation (PBE with a Hubbard U) of a relaxed structure of CaCo6O2F10.

a b c (Å): 4.886 5.150 9.625
angles (deg): 89.18 89.69 93.99
Fractional coordinates of all 19 atoms:
Co1 0.552 0.520 0.200
F1 0.203 0.854 0.506
F2 0.727 0.771 0.335
Co2 0.480 0.535 0.489
Co3 0.980 0.027 0.656
F3 0.205 0.797 0.841
Co4 0.037 0.073 0.341
Co5 0.491 0.506 0.812
F4 0.736 0.189 0.807
F5 0.209 0.833 0.152
F6 0.698 0.708 0.656
F7 0.831 0.240 0.166
O1 0.315 0.354 0.331
F8 0.215 0.287 0.951
F9 0.275 0.336 0.656
Ca1 0.548 0.035 0.009
Co6 0.034 0.590 0.012
F10 0.803 0.226 0.500
O2 0.649 0.621 0.001

Summary:
Calculated density (g/cm³): 4.23
ΔE to the lowest computed polymorph (kJ per mole of atoms): 8.0
Formation enthalpy at 0 K (eV/atom): -2.133
Space-group type: P1 (1)
Energy (eV per cell): -98.41
Total magnetic moment (μB/atom): 0.95

The following is a DFT calculation (PBE with a Hubbard U) of a relaxed structure of CaCo6O2F10.

a b c (Å): 4.755 4.755 11.437
angles (deg): 95.72 95.72 93.03
Fractional coordinates of all 19 atoms:
O1 0.292 0.292 0.368
F1 0.736 0.736 0.651
Ca1 0.670 0.670 0.136
Co1 0.208 0.208 0.205
F2 0.778 0.201 0.172
O2 0.742 0.742 0.954
F3 0.201 0.778 0.172
F4 0.868 0.261 0.803
F5 0.279 0.279 0.042
F6 0.350 0.350 0.664
Co2 0.045 0.045 0.664
F7 0.817 0.226 0.528
Co3 0.018 0.018 0.406
Co4 0.016 0.016 0.927
F8 0.728 0.728 0.342
Co5 0.583 0.583 0.803
F9 0.226 0.817 0.528
Co6 0.503 0.503 0.503
F10 0.261 0.868 0.803

Summary:
Calculated density (g/cm³): 4.00
ΔE to the lowest computed polymorph (kJ per mole of atoms): 2.5
Formation enthalpy at 0 K (eV/atom): -2.190
Space-group type: Cm (8)
Energy (eV per cell): -99.49
Total magnetic moment (μB/atom): 0.95

The following is a DFT calculation (PBE with a Hubbard U) of a relaxed structure of CaCo6O2F10.

a b c (Å): 4.777 4.789 11.441
angles (deg): 94.21 94.11 93.77
Fractional coordinates of all 19 atoms:
Co1 0.919 0.919 0.010
F1 0.114 0.702 0.857
F2 0.781 0.196 0.150
Co2 0.962 0.961 0.750
Co3 0.435 0.434 0.890
Co4 0.647 0.648 0.438
F3 0.702 0.113 0.857
Co5 0.500 0.500 0.162
F4 0.277 0.772 0.498
Ca1 0.248 0.249 0.514
F5 0.770 0.280 0.498
F6 0.250 0.249 0.715
Co6 0.095 0.096 0.254
F7 0.781 0.786 0.608
O1 0.367 0.367 0.322
F8 0.220 0.221 0.006
F9 0.794 0.797 0.302
O2 0.636 0.636 0.018
F10 0.195 0.782 0.151

Summary:
Calculated density (g/cm³): 3.94
ΔE to the lowest computed polymorph (kJ per mole of atoms): 8.2
Formation enthalpy at 0 K (eV/atom): -2.131
Space-group type: P1 (1)
Energy (eV per cell): -98.36
Total magnetic moment (μB/atom): 0.95

The following is a DFT calculation (PBE with a Hubbard U) of a relaxed structure of CaLaFeCoO6.

a b c (Å): 5.459 5.479 9.505
angles (deg): 54.99 90.00 90.00
Fractional coordinates of all 20 atoms:
O1 0.976 0.333 0.960
O2 0.735 0.821 0.248
O3 0.526 0.260 0.462
La1 0.776 0.254 0.251
Ca1 0.286 0.741 0.250
O4 0.761 0.171 0.751
O5 0.024 0.333 0.460
O6 0.971 0.743 0.542
O7 0.481 0.677 0.537
Fe1 0.250 0.000 0.500
O8 0.239 0.171 0.251
Co1 0.249 0.500 0.000
Co2 0.751 0.500 0.500
O9 0.029 0.743 0.042
O10 0.265 0.821 0.748
O11 0.519 0.677 0.037
La2 0.224 0.254 0.751
Ca2 0.714 0.741 0.750
Fe2 0.750 0.000 0.000
O12 0.474 0.260 0.962

Summary:
Calculated density (g/cm³): 5.56
Formation enthalpy at 0 K (eV/atom): -2.409
Space-group type: Pc (7)
Energy (eV per cell): -136.56
Total magnetic moment (μB/atom): 0.80

----------

== Worked solution ==
Co6 0.034 0.590 0.012
F10 0.803 0.226 0.500
O2 0.649 0.621 0.001

Summary:
Calculated density (g/cm³): 4.23
ΔE to the lowest computed polymorph (kJ per mole of atoms): 8.0
Formation enthalpy at 0 K (eV/atom): -2.133
Space-group type: P1 (1)
Energy (eV per cell): -98.41
Total magnetic moment (μB/atom): 0.95

The following is a DFT calculation (PBE with a Hubbard U) of a relaxed structure of CaCo6O2F10.

a b c (Å): 4.755 4.755 11.437
angles (deg): 95.72 95.72 93.03
Fractional coordinates of all 19 atoms:
O1 0.292 0.292 0.368
F1 0.736 0.736 0.651
Ca1 0.670 0.670 0.136
Co1 0.208 0.208 0.205
F2 0.778 0.201 0.172
O2 0.742 0.742 0.954
F3 0.201 0.778 0.172
F4 0.868 0.261 0.803
F5 0.279 0.279 0.042
F6 0.350 0.350 0.664
Co2 0.045 0.045 0.664
F7 0.817 0.226 0.528
Co3 0.018 0.018 0.406
Co4 0.016 0.016 0.927
F8 0.728 0.728 0.342
Co5 0.583 0.583 0.803
F9 0.226 0.817 0.528
Co6 0.503 0.503 0.503
F10 0.261 0.868 0.803

Summary:
Calculated density (g/cm³): 4.00
ΔE to the lowest computed polymorph (kJ per mole of atoms): 2.5
Formation enthalpy at 0 K (eV/atom): -2.190
Space-group type: Cm (8)
Energy (eV per cell): -99.49
Total magnetic moment (μB/atom): 0.95

The following is a DFT calculation (PBE with a Hubbard U) of a relaxed structure of CaCo6O2F10.

a b c (Å): 4.777 4.789 11.441
angles (deg): 94.21 94.11 93.77
Fractional coordinates of all 19 atoms:
Co1 0.919 0.919 0.010
F1 0.114 0.702 0.857
F2 0.781 0.196 0.150
Co2 0.962 0.961 0.750
Co3 0.435 0.434 0.890
Co4 0.647 0.648 0.438
F3 0.702 0.113 0.857
Co5 0.500 0.500 0.162
F4 0.277 0.772 0.498
Ca1 0.248 0.249 0.514
F5 0.770 0.280 0.498
F6 0.250 0.249 0.715
Co6 0.095 0.096 0.254
F7 0.781 0.786 0.608
O1 0.367 0.367 0.322
F8 0.220 0.221 0.006
F9 0.794 0.797 0.302
O2 0.636 0.636 0.018
F10 0.195 0.782 0.151

Summary:
Calculated density (g/cm³): 3.94
ΔE to the lowest computed polymorph (kJ per mole of atoms): 8.2
Formation enthalpy at 0 K (eV/atom): -2.131
Space-group type: P1 (1)
Energy (eV per cell): -98.36
Total magnetic moment (μB/atom): 0.95

The following is a DFT calculation (PBE with a Hubbard U) of a relaxed structure of CaLaFeCoO6.

a b c (Å): 5.459 5.479 9.505
angles (deg): 54.99 90.00 90.00
Fractional coordinates of all 20 atoms:
O1 0.976 0.333 0.960
O2 0.735 0.821 0.248
O3 0.526 0.260 0.462
La1 0.776 0.254 0.251
Ca1 0.286 0.741 0.250
O4 0.761 0.171 0.751
O5 0.024 0.333 0.460
O6 0.971 0.743 0.542
O7 0.481 0.677 0.537
Fe1 0.250 0.000 0.500
O8 0.239 0.171 0.251
Co1 0.249 0.500 0.000
Co2 0.751 0.500 0.500
O9 0.029 0.743 0.042
O10 0.265 0.821 0.748
O11 0.519 0.677 0.037
La2 0.224 0.254 0.751
Ca2 0.714 0.741 0.750
Fe2 0.750 0.000 0.000
O12 0.474 0.260 0.962

Summary:
Calculated density (g/cm³): 5.56
Formation enthalpy at 0 K (eV/atom): -2.409
Space-group type: Pc (7)
Energy (eV per cell): -136.56
Total magnetic moment (μB/atom): 0.80

----------